**What to do:**
The reader should transcribe only the lines underneath with the word "pos" in them.
**Contents:**
Material: NaSeBr2Cl
Method: DFT, GGA-PBE
State: relaxed

Volume = 29.67 Å³ per atom
Formation energy (no corrections) = -21 meV/atom
Energy above the lowest structure with this stoichiometry = 2.506 eV/f.u.
SG = P4/mmm

```
5
Lattice="-4.139 -1.304 3.178 -2.162 -2.877 -3.997 2.545 -4.151 1.611" Properties=species:S:1:pos:R:3 pbc="T T T"
Na -1.878 -4.166 0.396
Se 1.272 -2.075 0.805
Br -1.081 -1.439 -1.999
Br -2.070 -0.652 1.589
Cl 0.000 0.000 0.000
```

=====

A plane-wave DFT calculation with PBE was carried out for a geometry-optimized Ba6P2IrI3 structure.

Values from the calculation:
crystal system = monoclinic
SG = C2/m
ΔE_f (raw) = -1220 meV/atom
total magnetization = 0.00 μB per formula unit

a = 8.145 Å, b = 8.145 Å, c = 8.868 Å
α = 98.80°, β = 98.80°, γ = 120.00°
**Worked solution:**
Lattice="-4.139 -1.304 3.178 -2.162 -2.877 -3.997 2.545 -4.151 1.611" Properties=species:S:1:pos:R:3 pbc="T T T"